Continuing Oxfam’s conversation on the limits of transparency
Someone pasted data records at this point:
********
# 1
Computed, not measured: a relaxed NaTmO2 crystal at the PBE level of DFT.

Computed properties:
ΔH_f (0 K) in meV per atom: -3215
Offset from the most stable computed form in meV/atom: 2
Energy in eV/atom: -6.795
Space group: C2/c, No. 15
E (MP2020) in eV/atom: -7.14

```
NaTmO2
1.0
3.310 -6.559 0.000
3.310 6.559 0.000
-3.183 0.000 4.945
Na Tm O
4 4 8
direct
0.056 0.944 0.750
0.181 0.819 0.250
0.819 0.181 0.750
0.944 0.056 0.250
0.307 0.693 0.750
0.433 0.567 0.250
0.567 0.433 0.750
0.693 0.307 0.250
0.083 0.459 0.292
0.234 0.361 0.794
0.361 0.234 0.294
0.459 0.083 0.792
0.541 0.917 0.208
0.639 0.766 0.706
0.766 0.639 0.206
0.917 0.541 0.708
```

***

# 2
Computed, not measured: a relaxed NaTmO2 crystal at the PBE level of DFT.

Computed properties:
ΔH_f (0 K) in meV per atom: -3201
Offset from the most stable computed form in meV/atom: 16
Energy in eV/atom: -6.781
Space group: I4_1/amd, No. 141
E (MP2020) in eV/atom: -7.12

```
NaTmO2
1.0
4.560 0.000 0.000
0.000 4.560 0.000
0.000 0.000 10.234
Na Tm O
4 4 8
direct
0.000 0.250 0.375
0.000 0.750 0.625
0.500 0.250 0.125
0.500 0.750 0.875
0.000 0.250 0.875
0.000 0.750 0.125
0.500 0.250 0.625
0.500 0.750 0.375
0.000 0.250 0.095
0.000 0.250 0.655
0.000 0.750 0.345
0.000 0.750 0.905
0.500 0.250 0.405
0.500 0.250 0.845
0.500 0.750 0.155
0.500 0.750 0.595
```

***

# 3
Computed, not measured: a relaxed Na2UO3 crystal at the PBE level of DFT.

Computed properties:
ΔH_f (0 K) in meV per atom: -2526
Energy in eV/atom: -6.980
Space group: P1, No. 1
E (MP2020) in eV/atom: -7.32

```
Na2UO3
1.0
3.682 0.000 0.000
0.101 5.791 0.000
1.476 2.602 5.543
Na U O
2 1 3
direct
0.000 0.000 0.000
0.271 0.248 0.290
0.640 0.640 0.682
0.080 0.704 0.840
0.543 0.273 0.892
0.745 0.974 0.400
```

***

# 4
Computed, not measured: a relaxed Na3UO4 crystal at the PBE level of DFT.

Computed properties:
ΔH_f (0 K) in meV per atom: -2739
Energy in eV/atom: -6.776
Space group: Cmmm, No. 65
E (MP2020) in eV/atom: -7.12

```
Na3UO4
1.0
6.844 0.000 0.000
0.000 9.390 0.000
0.000 0.000 3.499
Na U O
6 2 8
direct
0.000 0.000 0.000
0.250 0.250 0.500
0.250 0.750 0.500
0.500 0.500 0.000
0.750 0.250 0.500
0.750 0.750 0.500
0.000 0.500 0.000
0.500 0.000 0.000
0.000 0.284 0.000
0.000 0.716 0.000
0.213 0.500 0.500
0.287 0.000 0.500
0.500 0.216 0.000
0.500 0.784 0.000
0.713 0.000 0.500
0.787 0.500 0.500
```

***

# 5
Computed, not measured: a relaxed NaUO4 crystal at the PBE level of DFT.

Computed properties:
ΔH_f (0 K) in meV per atom: -2909
Energy in eV/atom: -7.852
Space group: R-3m, No. 166
E (MP2020) in eV/atom: -8.31

```
NaUO4
1.0
1.995 1.152 6.001
-1.995 1.152 6.001
0.000 -2.304 6.001
Na U O
1 1 4
direct
0.000 0.000 0.000
0.500 0.500 0.500
0.163 0.163 0.163
0.395 0.395 0.395
0.605 0.605 0.605
0.837 0.837 0.837
```

***

# 6
Computed, not measured: a relaxed NaUO3 crystal at the PBE level of DFT.

Computed properties:
ΔH_f (0 K) in meV per atom: -3291
Energy in eV/atom: -8.371
Space group: Pnma, No. 62
E (MP2020) in eV/atom: -8.78

```
********

Here at Sunlight, we read yesterday’s post on Oxfam’s “From Poverty to Power” blog with interest. Titled “What are the limits of transparency and technology?” the post surveyed the opinions of three transparency advocates on whether “transparency” has been lauded inappropriately as a magic bullet for big problems in development and the achievement of other social goals.
The three respondents did a nice and careful job describing the ways that transparency is necessary to — but not by itself sufficient for — the achievement of accountable government action. As Peter Eigen of Transparency International identifies, a reductive understanding of the role of “transparent” information in creating accountability misses the critical step of discovering whether the information-producers have actually created good quality and timely information — hardly a simple or cheap thing to produce and disseminate. Rakesh Rajani points out that a superficial view of transparency fails to reference the role of formal and informal institutions within a particular social space, and that you can’t expect technology-enabled transparency to produce results without reference to local historical context. Rosemary McGee helpfully unpacks the automatic elisions people sometimes make between transparency, accountability and the production of social good. The chain linking each of these principles to the others is dependent on a whole lot of collective action — purposive action, goal setting and decision-making — that may or may not effectively exist.
Given the Supreme Court’s recent decision in McCutcheon v. FEC, this post resonated strongly. The justification for Chief Justice Roberts’ opinion reducing the scope of campaign finance law depends in part on just such a simplistic interpretation of “transparency.” Roberts argues:
With modern technology, disclosure now offers a particularly effective means of arming the voting public with information… Today, given the Internet, disclosure offers much more robust protections against corruption… Reports and databases are available on the FEC’s Web site almost immediately after they are filed, supplemented by private entities such as and Because massive quantities of information can be accessed at the click of a mouse, disclosure is effective to a degree not possible at the time Buckley, or even McConnell, was decided.
While this sounds quite hopeful, it makes precisely the inaccurate claims that the open data advocates above describe when they talk about the superficial linkages that can be made between transparency and accountability. We’ve documented the ways that the information is, in fact, neither immediately available (due to inadequate disclosure laws) nor easy to access on the FEC site.
As the advocates describe, it is inappropriate to assess the impact of “transparency” without first asking a lot of hard and important questions about the initiative in question. This perspective throws into relief how entirely ineffective it is when institutions give lip service to transparency without actually supporting its implementation or enforcement. Take, for example, the incredible shrinking budget of the Federal Election Commission, created to police money in politics after the Watergate scandal. Even as the FEC commissioners spend their meetings in partisan bickering, the professional staff tries valiantly to fulfill the agency’s mission. But, as our colleagues at the Center for Public Integrity have catalogued, with precious little support from the budget-writers on Capitol Hill.
Materials data from another source follow >
The following is a DFT calculation (PBE+U) of crystalline Ca4Mn3AlO10 at its relaxed geometry.

a = 10.866 Å, b = 10.953 Å, c = 15.442 Å
α = 90.12°, β = 90.09°, γ = 90.49°
Space group P1 (No. 1)
Unique sites:
Ca 0.000 0.000 0.000 [1 per cell]
Ca 0.000 0.485 0.996 [1 per cell]
Ca 0.009 0.983 0.485 [1 per cell]
Ca 0.012 0.941 0.236 [1 per cell]
Ca 0.023 0.452 0.742 [1 per cell]
Ca 0.237 0.209 0.740 [1 per cell]
Ca 0.244 0.216 0.007 [1 per cell]
Ca 0.245 0.195 0.232 [1 per cell]
Ca 0.251 0.708 0.233 [1 per cell]
Ca 0.252 0.242 0.512 [1 per cell]
Ca 0.258 0.734 0.005 [1 per cell]
Ca 0.266 0.735 0.480 [1 per cell]
Ca 0.268 0.738 0.727 [1 per cell]
Ca 0.495 0.982 0.977 [1 per cell]
Ca 0.502 0.486 0.483 [1 per cell]
Ca 0.505 0.501 0.995 [1 per cell]
Ca 0.505 0.928 0.242 [1 per cell]
Ca 0.507 0.447 0.737 [1 per cell]
Ca 0.521 0.972 0.486 [1 per cell]
Ca 0.530 0.453 0.224 [1 per cell]
Ca 0.532 0.950 0.732 [1 per cell]
Ca 0.723 0.227 0.501 [1 per cell]
Ca 0.749 0.695 0.236 [1 per cell]
Ca 0.754 0.759 0.999 [1 per cell]
Ca 0.756 0.229 0.999 [1 per cell]
Ca 0.758 0.193 0.738 [1 per cell]
Ca 0.761 0.751 0.488 [1 per cell]
Ca 0.775 0.222 0.231 [1 per cell]
Ca 0.776 0.760 0.725 [1 per cell]
Ca 0.986 0.510 0.495 [1 per cell]
Ca 0.989 0.472 0.222 [1 per cell]
Ca 0.995 0.964 0.740 [1 per cell]
Mn 0.001 0.713 0.361 [1 per cell]
Mn 0.003 0.747 0.614 [1 per cell]
Mn 0.006 0.720 0.108 [1 per cell]
Mn 0.007 0.225 0.117 [1 per cell]
Mn 0.011 0.719 0.864 [1 per cell]
Mn 0.044 0.227 0.373 [1 per cell]
Mn 0.234 0.472 0.379 [1 per cell]
Mn 0.250 0.960 0.362 [1 per cell]
Mn 0.256 0.472 0.623 [1 per cell]
Mn 0.258 0.475 0.100 [1 per cell]
Mn 0.264 0.972 0.117 [1 per cell]
Mn 0.500 0.219 0.613 [1 per cell]
Mn 0.502 0.709 0.364 [1 per cell]
Mn 0.504 0.727 0.610 [1 per cell]
Mn 0.506 0.724 0.113 [1 per cell]
Mn 0.519 0.210 0.353 [1 per cell]
Mn 0.520 0.725 0.856 [1 per cell]
Mn 0.744 0.483 0.865 [1 per cell]
Mn 0.746 0.469 0.365 [1 per cell]
Mn 0.750 0.963 0.358 [1 per cell]
Mn 0.753 0.467 0.108 [1 per cell]
Mn 0.758 0.473 0.611 [1 per cell]
Mn 0.758 0.980 0.866 [1 per cell]
Mn 0.765 0.972 0.118 [1 per cell]
Al 0.025 0.194 0.858 [1 per cell]
Al 0.235 0.949 0.876 [1 per cell]
Al 0.265 0.425 0.852 [1 per cell]
Al 0.273 0.972 0.595 [1 per cell]
Al 0.487 0.239 0.109 [1 per cell]
Al 0.535 0.235 0.871 [1 per cell]
Al 0.759 0.990 0.605 [1 per cell]
Al 0.985 0.242 0.616 [1 per cell]
O 0.039 0.205 0.504 [1 per cell]
O 0.040 0.213 0.975 [1 per cell]
O 0.049 0.694 0.983 [1 per cell]
O 0.053 0.713 0.498 [1 per cell]
O 0.089 0.549 0.344 [1 per cell]
O 0.111 0.061 0.341 [1 per cell]
O 0.112 0.086 0.133 [1 per cell]
O 0.117 0.575 0.127 [1 per cell]
O 0.130 0.334 0.844 [1 per cell]
O 0.141 0.068 0.834 [1 per cell]
O 0.149 0.331 0.642 [1 per cell]
O 0.149 0.806 0.346 [1 per cell]
O 0.150 0.891 0.645 [1 per cell]
O 0.158 0.831 0.130 [1 per cell]
O 0.162 0.331 0.123 [1 per cell]
O 0.171 0.803 0.854 [1 per cell]
O 0.206 0.463 0.505 [1 per cell]
O 0.226 0.302 0.363 [1 per cell]
The piece goes on >
As for transparency advocates, let me tell you that we find it especially galling when transparency is being invoked (as a fig leaf) while other, regressive regulatory changes, like doing away with aggregate campaign donation limits, are being imposed.
-- Attached: calculated crystals --
/*
DFT (GGA-PBE) results for Pr4OsI5 after structural relaxation.

Structure (POSCAR):
```
Pr4OsI5
1.0
2.154 10.042 0.000
-2.154 10.042 0.000
0.000 2.110 9.137
I Os Pr
5 1 4
direct
0.666 0.666 0.663 I
0.672 0.672 0.168 I
0.328 0.328 0.832 I
0.334 0.334 0.337 I
0.000 0.000 0.500 I
0.000 0.000 0.000 Os
0.139 0.139 0.928 Pr
0.500 0.500 0.209 Pr
0.500 0.500 0.791 Pr
0.861 0.861 0.072 Pr
```

Values from the calculation:
* formation energy from the elements: -12.63 eV/f.u.
* crystal system: monoclinic

---

DFT (GGA-PBE) results for PI2 after structural relaxation.

Structure (POSCAR):
```
PI2
1.0
5.204 0.000 0.000
2.145 7.256 0.000
1.616 0.895 7.516
P I
2 4
direct
0.416 0.033 0.872 P
0.584 0.967 0.128 P
0.799 0.808 0.710 I
0.557 0.328 0.779 I
0.201 0.192 0.290 I
0.443 0.672 0.221 I
```

Values from the calculation:
* formation energy from the elements: -0.94 eV/f.u.
* crystal system: triclinic

---

DFT (GGA-PBE) results for Rb4P21I after structural relaxation.

Structure (POSCAR):
```
Rb4P21I
1.0
0.845 12.941 1.674
-11.252 -4.277 -5.108
-3.798 -0.935 9.148
P Rb I
42 8 2
direct
0.500 0.943 0.415 P
0.315 0.014 0.923 P
0.151 0.151 0.588 P
0.685 0.986 0.077 P
0.986 0.685 0.077 P
0.500 0.943 0.085 P
0.986 0.685 0.423 P
0.849 0.849 0.088 P
0.057 0.500 0.915 P
0.014 0.315 0.577 P
0.330 0.182 0.864 P
0.014 0.315 0.923 P
0.239 0.893 0.750 P
0.050 0.050 0.750 P
0.496 0.057 0.250 P
0.943 0.500 0.415 P
0.685 0.986 0.423 P
0.057 0.500 0.585 P
0.182 0.330 0.636 P
0.818 0.670 0.364 P
0.151 0.151 0.912 P
0.849 0.849 0.412 P
0.500 0.057 0.585 P
0.500 0.057 0.915 P
0.315 0.014 0.577 P
0.761 0.107 0.250 P
0.670 0.818 0.364 P
0.330 0.182 0.636 P
0.182 0.330 0.864 P
0.340 0.799 0.750 P
0.943 0.500 0.085 P
0.660 0.201 0.250 P
0.893 0.239 0.750 P
0.107 0.761 0.250 P
0.504 0.943 0.750 P
0.799 0.340 0.750 P
0.950 0.950 0.250 P
0.943 0.504 0.750 P
0.818 0.670 0.136 P
0.057 0.496 0.250 P
0.201 0.660 0.250 P
0.670 0.818 0.136 P
0.380 0.620 0.000 Rb
0.065 0.240 0.250 Rb
0.935 0.760 0.750 Rb
0.620 0.380 0.500 Rb
0.240 0.065 0.250 Rb
0.620 0.380 0.000 Rb
0.760 0.935 0.750 Rb
0.380 0.620 0.500 Rb
0.602 0.602 0.750 I
0.398 0.398 0.250 I
```

Values from the calculation:
* formation energy from the elements: -8.40 eV/f.u.
* crystal system: orthorhombic

---

DFT (GGA-PBE) results for P3Se4I after structural relaxation.

Structure (POSCAR):
```
P3Se4I
1.0
7.044 0.000 0.000
0.000 12.391 0.000
0.000 7.145 13.268
Se P I
16 12 4
direct
0.790 0.115 0.529 Se
0.367 0.256 0.394 Se
0.210 0.885 0.471 Se
0.290 0.885 0.971 Se
0.687 0.446 0.897 Se
0.178 0.642 0.716 Se
0.322 0.642 0.216 Se
0.133 0.256 0.894 Se
0.678 0.358 0.784 Se
0.313 0.554 0.103 Se
0.822 0.358 0.284 Se
0.187 0.554 0.603 Se
0.710 0.115 0.029 Se
0.813 0.446 0.397 Se
0.867 0.744 0.106 Se
0.633 0.744 0.606 Se
0.226 0.718 0.953 P
0.656 0.186 0.373 P
0.726 0.282 0.547 P
0.156 0.814 0.127 P
0.579 0.680 0.489 P
0.774 0.282 0.047 P
0.921 0.680 0.989 P
0.421 0.320 0.511 P
0.344 0.814 0.627 P
0.274 0.718 0.453 P
0.079 0.320 0.011 P
*/
-- So much for the calculated crystals --
In the case of the McCutcheon ruling, we have a good demonstration of how “transparency” comes to get a bad name. Even though we know the current system is far from robust, the Supreme Court, a gridlocked FEC and a hyperpartisan Congress have collectively outsourced the institutional governmental responsibility to prevent corruption to groups like us. Now, perhaps we would have some better ability to handle this if we were a large-scale government contractor — say, the size (and receiving the subsidy) of a Lockheed Martin. However, given the capacity of our non-profit transparency “enforcement” sector this does nothing more than set up the notion of “transparency,” as a whole, to be synonymous with ineffectiveness and failure.